Set down only the last part of the listing further down, starting with the line that has "28.68°, intensity", please.

┌──
[1]
CsFe2AuCl8: computed powder X-ray diffraction pattern (λ = 1.5418 Å (Cu Kα)), based on a crystal structure in Alexandria, relaxed with GGA-PBE.

Main lines, by angle (15 to 90 degrees two-theta):
- 19.88°, intensity 77
- 20.32°, intensity 63
- 23.33°, intensity 100
- 25.53°, intensity 33
- 27.77°, intensity 27
- 30.76°, intensity 48
- 32.85°, intensity 30
- 33.06°, intensity 37
- 33.74°, intensity 27
- 38.80°, intensity 31
- 43.68°, intensity 27
- 49.21°, intensity 26

Structure:
abc: 7.6940 7.6940 9.0347
angles: 112.03 112.03 53.93
Atoms (fractional coordinates):
Cs 0.0000 0.0000 0.0000
Fe 0.1927 0.1927 0.6690
Fe 0.8073 0.8073 0.3310
Au 0.5000 0.5000 0.5000
Cl 0.1439 0.6396 0.2811
Cl 0.1784 0.1784 0.4189
Cl 0.3604 0.8561 0.7189
Cl 0.3611 0.3611 0.8485
Cl 0.6389 0.6389 0.1515
Cl 0.6396 0.1439 0.2811
Cl 0.8216 0.8216 0.5811
Cl 0.8561 0.3604 0.7189

[2]
Pr2SnB3Rh12: computed powder X-ray diffraction pattern (λ = 1.5418 Å (Cu Kα)), based on a crystal structure in Alexandria, relaxed with GGA-PBE.

Main lines, by angle (15 to 90 degrees two-theta):
- 27.76°, intensity 16
- 34.19°, intensity 18
- 37.58°, intensity 100
- 37.82°, intensity 84
- 38.40°, intensity 41
- 44.35°, intensity 32
- 48.22°, intensity 30
- 59.74°, intensity 18
- 64.02°, intensity 12
- 73.19°, intensity 14
- 73.56°, intensity 30
- 78.72°, intensity 13

Structure:
abc: 7.3020 7.3020 7.3020
angles: 62.25 62.25 62.25
Atoms (fractional coordinates):
Pr 0.0913 0.0913 0.0913
Pr 0.9087 0.9087 0.9087
Sn 0.5000 0.5000 0.5000
B 0.0000 0.5000 0.5000
B 0.5000 0.0000 0.5000
B 0.5000 0.5000 0.0000
Rh 0.0449 0.6529 0.6529
Rh 0.2304 0.2304 0.6199
Rh 0.2304 0.6199 0.2304
Rh 0.3471 0.3471 0.9551
Rh 0.3471 0.9551 0.3471
Rh 0.3801 0.7696 0.7696
Rh 0.6199 0.2304 0.2304
Rh 0.6528 0.0449 0.6528
Rh 0.6528 0.6528 0.0449
Rh 0.7696 0.3801 0.7696
Rh 0.7696 0.7696 0.3801
Rh 0.9551 0.3472 0.3471

[3]
RbBiAs2Pt4: computed powder X-ray diffraction pattern (λ = 1.5418 Å (Cu Kα)), based on a crystal structure in Alexandria, relaxed with GGA-PBE.

Main lines, by angle (15 to 90 degrees two-theta):
- 16.28°, intensity 35
- 24.53°, intensity 18
- 26.89°, intensity 50
- 34.53°, intensity 83
- 39.31°, intensity 100
- 43.28°, intensity 62
- 50.33°, intensity 21
- 52.17°, intensity 27
- 62.87°, intensity 21
- 68.49°, intensity 21
- 73.75°, intensity 19
- 76.72°, intensity 29

Structure:
abc: 4.1807 4.1807 10.8871
angles: 90.00 90.00 90.00
Atoms (fractional coordinates):
Rb 0.0000 0.0000 0.0000
Bi 0.0000 0.0000 0.5000
As 0.5000 0.5000 0.1925
As 0.5000 0.5000 0.8075
Pt 0.0000 0.5000 0.3109
Pt 0.0000 0.5000 0.6891
Pt 0.5000 0.0000 0.3109
Pt 0.5000 0.0000 0.6891

[4]
Cs2GaBiI6: computed powder X-ray diffraction pattern (λ = 1.5418 Å (Cu Kα)), based on a crystal structure in Alexandria, relaxed with GGA-PBE.

Main lines, by angle (15 to 90 degrees two-theta):
- 20.17°, intensity 23
- 24.77°, intensity 63
- 28.68°, intensity 100
- 32.15°, intensity 13
- 35.32°, intensity 12
- 41.01°, intensity 76
- 48.50°, intensity 29
- 50.80°, intensity 27
- 59.38°, intensity 13
- 65.34°, intensity 12
- 67.26°, intensity 35
- 74.70°, intensity 26

Structure:
abc: 8.8032 8.8032 8.8032
angles: 119.98 119.98 90.04
Atoms (fractional coordinates):
Cs 0.2500 0.7500 0.5000
Cs 0.7500 0.2500 0.5000
Ga 0.0000 0.0000 0.0000
Bi 0.5000 0.5000 0.0000
I 0.2509 0.2509 0.0000
I 0.2511 0.2511 0.5022
I 0.2511 0.7489 0.0000
I 0.7489 0.2511 0.0000
I 0.7491 0.7491 0.0000
I 0.7489 0.7489 0.4978

[5]
CrPt5Rh2: computed powder X-ray diffraction pattern (λ = 1.5418 Å (Cu Kα)), based on a crystal structure in Alexandria, relaxed with GGA-PBE.

Main lines, by angle (15 to 90 degrees two-theta):
- 21.06°, intensity 8
- 26.58°, intensity 11
- 33.02°, intensity 3
- 34.16°, intensity 5
- 37.95°, intensity 70
- 42.88°, intensity 100
- 51.17°, intensity 4
- 54.75°, intensity 24
- 69.28°, intensity 6
- 71.95°, intensity 43
- 81.13°, intensity 8
- 81.82°, intensity 15

Structure:
abc: 6.7063 6.7063 5.4249
angles: 90.00 90.00 90.00
└──

- 28.68°, intensity 100
- 32.15°, intensity 13
- 35.32°, intensity 12
- 41.01°, intensity 76
- 48.50°, intensity 29
- 50.80°, intensity 27
- 59.38°, intensity 13
- 65.34°, intensity 12
- 67.26°, intensity 35
- 74.70°, intensity 26

Structure:
abc: 8.8032 8.8032 8.8032
angles: 119.98 119.98 90.04
Atoms (fractional coordinates):
Cs 0.2500 0.7500 0.5000
Cs 0.7500 0.2500 0.5000
Ga 0.0000 0.0000 0.0000
Bi 0.5000 0.5000 0.0000
I 0.2509 0.2509 0.0000
I 0.2511 0.2511 0.5022
I 0.2511 0.7489 0.0000
I 0.7489 0.2511 0.0000
I 0.7491 0.7491 0.0000
I 0.7489 0.7489 0.4978

[5]
CrPt5Rh2: computed powder X-ray diffraction pattern (λ = 1.5418 Å (Cu Kα)), based on a crystal structure in Alexandria, relaxed with GGA-PBE.

Main lines, by angle (15 to 90 degrees two-theta):
- 21.06°, intensity 8
- 26.58°, intensity 11
- 33.02°, intensity 3
- 34.16°, intensity 5
- 37.95°, intensity 70
- 42.88°, intensity 100
- 51.17°, intensity 4
- 54.75°, intensity 24
- 69.28°, intensity 6
- 71.95°, intensity 43
- 81.13°, intensity 8
- 81.82°, intensity 15

Structure:
abc: 6.7063 6.7063 5.4249
angles: 90.00 90.00 90.00